/*
No. 1
{
  "formula": "LuCdGe2",
  "functional": "GGA-PBE",
  "state": "relaxed",
  "lattice_angstrom": [[4.4927, 0.0000, 0.0000], [0.0000, 4.4927, 0.0000], [0.0000, 0.0000, 4.0427]],
  "species": ["Lu", "Cd", "Ge", "Ge"],
  "fractional_positions": [[0.0000, 0.0000, 0.0000], [0.5000, 0.5000, 0.0000], [0.0000, 0.5000, 0.5000], [0.5000, 0.0000, 0.5000]],
  "volume_a3_per_cell": 82,
  "total_energy_ry_per_atom": -0.295,
  "e_form_kcal_per_mol_atoms": -7.964,
  "n_ef_per_ev_cell": 1.82,
  "magnetic_moment_mub_per_fu": 0.0,
  "polymorph_energy_mev_per_atom": 0
}

=====

No. 2
{
  "formula": "LuCdGe2",
  "functional": "GGA-PBE",
  "state": "relaxed",
  "lattice_angstrom": [[4.5629, 0.0000, 0.0000], [-2.2814, 3.9516, 0.0000], [0.0000, 0.0000, 14.4806]],
  "species": ["Lu", "Lu", "Lu", "Cd", "Cd", "Cd", "Ge", "Ge", "Ge", "Ge", "Ge", "Ge"],
  "fractional_positions": [[0.0000, 0.0000, 0.0000], [0.3333, 0.6667, 0.6667], [0.6667, 0.3333, 0.3333], [0.0000, 0.0000, 0.5000], [0.3333, 0.6667, 0.1667], [0.6667, 0.3333, 0.8333], [0.0000, 0.0000, 0.2480], [0.0000, 0.0000, 0.7520], [0.3333, 0.6667, 0.4187], [0.3333, 0.6667, 0.9146], [0.6667, 0.3333, 0.0854], [0.6667, 0.3333, 0.5813]],
  "volume_a3_per_cell": 261,
  "total_energy_ry_per_atom": -0.281,
  "e_form_kcal_per_mol_atoms": -3.692,
  "n_ef_per_ev_cell": 5.05,
  "magnetic_moment_mub_per_fu": 0.0,
  "polymorph_energy_mev_per_atom": 185
}

=====

No. 3
{
  "formula": "NdLuCdGe",
  "functional": "GGA-PBE",
  "state": "relaxed",
  "lattice_angstrom": [[7.3295, 0.0000, 0.0000], [0.0000, 7.3295, 0.0000], [0.0000, 0.0000, 7.3295]],
  "species": ["Nd", "Nd", "Nd", "Nd", "Lu", "Lu", "Lu", "Lu", "Cd", "Cd", "Cd", "Cd", "Ge", "Ge", "Ge", "Ge"],
  "fractional_positions": [[0.0000, 0.0000, 0.0000], [0.0000, 0.5000, 0.5000], [0.5000, 0.0000, 0.5000], [0.5000, 0.5000, 0.0000], [0.0000, 0.0000, 0.5000], [0.0000, 0.5000, 0.0000], [0.5000, 0.0000, 0.0000], [0.5000, 0.5000, 0.5000], [0.2500, 0.2500, 0.2500], [0.2500, 0.7500, 0.7500], [0.7500, 0.2500, 0.7500], [0.7500, 0.7500, 0.2500], [0.2500, 0.2500, 0.7500], [0.2500, 0.7500, 0.2500], [0.7500, 0.2500, 0.2500], [0.7500, 0.7500, 0.7500]],
  "volume_a3_per_cell": 394,
  "total_energy_ry_per_atom": -0.305,
  "e_form_kcal_per_mol_atoms": -10.135,
  "n_ef_per_ev_cell": 11.25,
  "magnetic_moment_mub_per_fu": 0.0
}

=====

No. 4
{
  "formula": "LuCdGePd",
  "functional": "GGA-PBE",
  "state": "relaxed",
  "lattice_angstrom": [[6.7911, 0.0000, 0.0000], [0.0000, 6.7911, 0.0000], [0.0000, 0.0000, 6.7911]],
  "species": ["Lu", "Lu", "Lu", "Lu", "Cd", "Cd", "Cd", "Cd", "Ge", "Ge", "Ge", "Ge", "Pd", "Pd", "Pd", "Pd"],
  "fractional_positions": [[0.0000, 0.0000, 0.0000], [0.0000, 0.5000, 0.5000], [0.5000, 0.0000, 0.5000], [0.5000, 0.5000, 0.0000], [0.0000, 0.0000, 0.5000], [0.0000, 0.5000, 0.0000], [0.5000, 0.0000, 0.0000], [0.5000, 0.5000, 0.5000], [0.2500, 0.2500, 0.2500], [0.2500, 0.7500, 0.7500], [0.7500, 0.2500, 0.7500], [0.7500, 0.7500, 0.2500], [0.2500, 0.2500, 0.7500], [0.2500, 0.7500, 0.2500], [0.7500, 0.2500, 0.2500], [0.7500, 0.7500, 0.7500]],
  "volume_a3_per_cell": 313,
  "total_energy_ry_per_atom": -0.317,
  "e_form_kcal_per_mol_atoms": -11.589,
  "n_ef_per_ev_cell": 11.70,
  "magnetic_moment_mub_per_fu": 0.0
}

=====

No. 5
{
  "formula": "LuCdGePt",
  "functional": "GGA-PBE",
  "state": "relaxed",
  "lattice_angstrom": [[6.7950, 0.0000, 0.0000], [0.0000, 6.7950, 0.0000], [0.0000, 0.0000, 6.7950]],
  "species": ["Lu", "Lu", "Lu", "Lu", "Cd", "Cd", "Cd", "Cd", "Ge", "Ge", "Ge", "Ge", "Pt", "Pt", "Pt", "Pt"],
  "fractional_positions": [[0.0000, 0.0000, 0.0000], [0.0000, 0.5000, 0.5000], [0.5000, 0.0000, 0.5000], [0.5000, 0.5000, 0.0000], [0.0000, 0.0000, 0.5000], [0.0000, 0.5000, 0.0000], [0.5000, 0.0000, 0.0000], [0.5000, 0.5000, 0.5000], [0.2500, 0.2500, 0.7500], [0.2500, 0.7500, 0.2500], [0.7500, 0.2500, 0.2500], [0.7500, 0.7500, 0.7500], [0.2500, 0.2500, 0.2500], [0.2500, 0.7500, 0.7500], [0.7500, 0.2500, 0.7500], [0.7500, 0.7500, 0.2500]],
*/

What is needed: retype the block above from the line with "11.25," to the end character by character.

  "n_ef_per_ev_cell": 11.25,
  "magnetic_moment_mub_per_fu": 0.0
}

=====

No. 4
{
  "formula": "LuCdGePd",
  "functional": "GGA-PBE",
  "state": "relaxed",
  "lattice_angstrom": [[6.7911, 0.0000, 0.0000], [0.0000, 6.7911, 0.0000], [0.0000, 0.0000, 6.7911]],
  "species": ["Lu", "Lu", "Lu", "Lu", "Cd", "Cd", "Cd", "Cd", "Ge", "Ge", "Ge", "Ge", "Pd", "Pd", "Pd", "Pd"],
  "fractional_positions": [[0.0000, 0.0000, 0.0000], [0.0000, 0.5000, 0.5000], [0.5000, 0.0000, 0.5000], [0.5000, 0.5000, 0.0000], [0.0000, 0.0000, 0.5000], [0.0000, 0.5000, 0.0000], [0.5000, 0.0000, 0.0000], [0.5000, 0.5000, 0.5000], [0.2500, 0.2500, 0.2500], [0.2500, 0.7500, 0.7500], [0.7500, 0.2500, 0.7500], [0.7500, 0.7500, 0.2500], [0.2500, 0.2500, 0.7500], [0.2500, 0.7500, 0.2500], [0.7500, 0.2500, 0.2500], [0.7500, 0.7500, 0.7500]],
  "volume_a3_per_cell": 313,
  "total_energy_ry_per_atom": -0.317,
  "e_form_kcal_per_mol_atoms": -11.589,
  "n_ef_per_ev_cell": 11.70,
  "magnetic_moment_mub_per_fu": 0.0
}

=====

No. 5
{
  "formula": "LuCdGePt",
  "functional": "GGA-PBE",
  "state": "relaxed",
  "lattice_angstrom": [[6.7950, 0.0000, 0.0000], [0.0000, 6.7950, 0.0000], [0.0000, 0.0000, 6.7950]],
  "species": ["Lu", "Lu", "Lu", "Lu", "Cd", "Cd", "Cd", "Cd", "Ge", "Ge", "Ge", "Ge", "Pt", "Pt", "Pt", "Pt"],
  "fractional_positions": [[0.0000, 0.0000, 0.0000], [0.0000, 0.5000, 0.5000], [0.5000, 0.0000, 0.5000], [0.5000, 0.5000, 0.0000], [0.0000, 0.0000, 0.5000], [0.0000, 0.5000, 0.0000], [0.5000, 0.0000, 0.0000], [0.5000, 0.5000, 0.5000], [0.2500, 0.2500, 0.7500], [0.2500, 0.7500, 0.2500], [0.7500, 0.2500, 0.2500], [0.7500, 0.7500, 0.7500], [0.2500, 0.2500, 0.2500], [0.2500, 0.7500, 0.7500], [0.7500, 0.2500, 0.7500], [0.7500, 0.7500, 0.2500]],